**Exercise:**
Write out everything further below without additions.

**Contents:**
-- begin --
Calculated X-ray diffraction stick pattern of CaAlH5 for λ = 1.5418 Å (Cu Kα), from DFT lattice parameters and positions (GGA-PBE).
No peak broadening, texture or thermal motion is included.

abc: 4.3117 4.9224 12.0885
angles: 90.00 90.00 90.00
Fractional positions:
Ca 0.2111 0.1385 0.3391
Ca 0.2889 0.8615 0.8391
Ca 0.7111 0.3615 0.6609
Ca 0.7889 0.6385 0.1609
Al 0.1880 0.1220 0.0858
Al 0.3120 0.8780 0.5858
Al 0.6880 0.3780 0.9142
Al 0.8120 0.6220 0.4142
H 0.0076 0.8797 0.4910
H 0.0192 0.8751 0.0101
H 0.1239 0.6251 0.3226
H 0.1558 0.1095 0.6754
H 0.1772 0.6134 0.6637
H 0.3228 0.3866 0.1637
H 0.3442 0.8905 0.1754
H 0.3761 0.3749 0.8226
H 0.4808 0.1249 0.5101
H 0.4924 0.1203 0.9910
H 0.5076 0.6203 0.5090
H 0.5192 0.6249 0.9899
H 0.6239 0.8749 0.6774
H 0.6558 0.3905 0.3246
H 0.6772 0.8866 0.3363
H 0.8228 0.1134 0.8363
H 0.8442 0.6095 0.8246
H 0.8761 0.1251 0.1774
H 0.9808 0.3751 0.4899
H 0.9924 0.3797 0.0090

Most intense lines, 10° ≤ 2θ ≤ 80°, low angle first:
| 2θ (°) | d (Å) | I_rel |
| --- | --- | --- |
| 27.50 | 3.243 | 86 |
| 28.49 | 3.133 | 100 |
| 28.63 | 3.118 | 37 |
| 29.56 | 3.022 | 29 |
| 34.84 | 2.575 | 31 |
| 35.53 | 2.527 | 21 |
| 36.30 | 2.475 | 56 |
| 37.28 | 2.412 | 44 |
| 40.81 | 2.211 | 23 |
| 41.90 | 2.156 | 20 |
| 48.19 | 1.888 | 29 |
| 57.31 | 1.608 | 19 |
-- stop --

**Result:**
Calculated X-ray diffraction stick pattern of CaAlH5 for λ = 1.5418 Å (Cu Kα), from DFT lattice parameters and positions (GGA-PBE).
No peak broadening, texture or thermal motion is included.

abc: 4.3117 4.9224 12.0885
angles: 90.00 90.00 90.00
Fractional positions:
Ca 0.2111 0.1385 0.3391
Ca 0.2889 0.8615 0.8391
Ca 0.7111 0.3615 0.6609
Ca 0.7889 0.6385 0.1609
Al 0.1880 0.1220 0.0858
Al 0.3120 0.8780 0.5858
Al 0.6880 0.3780 0.9142
Al 0.8120 0.6220 0.4142
H 0.0076 0.8797 0.4910
H 0.0192 0.8751 0.0101
H 0.1239 0.6251 0.3226
H 0.1558 0.1095 0.6754
H 0.1772 0.6134 0.6637
H 0.3228 0.3866 0.1637
H 0.3442 0.8905 0.1754
H 0.3761 0.3749 0.8226
H 0.4808 0.1249 0.5101
H 0.4924 0.1203 0.9910
H 0.5076 0.6203 0.5090
H 0.5192 0.6249 0.9899
H 0.6239 0.8749 0.6774
H 0.6558 0.3905 0.3246
H 0.6772 0.8866 0.3363
H 0.8228 0.1134 0.8363
H 0.8442 0.6095 0.8246
H 0.8761 0.1251 0.1774
H 0.9808 0.3751 0.4899
H 0.9924 0.3797 0.0090

Most intense lines, 10° ≤ 2θ ≤ 80°, low angle first:
| 2θ (°) | d (Å) | I_rel |
| --- | --- | --- |
| 27.50 | 3.243 | 86 |
| 28.49 | 3.133 | 100 |
| 28.63 | 3.118 | 37 |
| 29.56 | 3.022 | 29 |
| 34.84 | 2.575 | 31 |
| 35.53 | 2.527 | 21 |
| 36.30 | 2.475 | 56 |
| 37.28 | 2.412 | 44 |
| 40.81 | 2.211 | 23 |
| 41.90 | 2.156 | 20 |
| 48.19 | 1.888 | 29 |
| 57.31 | 1.608 | 19 |